### Request
Restate only the lines further below with the word "Co" in them.

### Input
Entry 1:
The following is a DFT calculation (PBE-GGA) of a relaxed ZrGa3Ge crystal.

Unit cell a=4.8289 b=4.8289 c=4.8289 alpha=90.00 beta=90.00 gamma=90.00
Fractional coordinates of all 5 atoms:
1 Zr 0.0000 0.0000 0.0000
2 Ga 0.0000 0.5000 0.5000
3 Ga 0.5000 0.0000 0.5000
4 Ga 0.5000 0.5000 0.0000
5 Ge 0.5000 0.5000 0.5000

Results
ΔE_f = 0.573 eV per atom
Space-group type = No. 221
Total magnetic moment = 0.0 μB/f.u.
Excess energy over the best structure of this formula in the dataset = 0 meV/atom
Energy = -0.2849 Ry per atom

---

Entry 2:
The following is a DFT calculation (PBE-GGA) of a relaxed NdErLuZr crystal.

Unit cell a=5.4772 b=5.4772 c=5.4772 alpha=60.00 beta=60.00 gamma=60.00
Fractional coordinates of all 4 atoms:
1 Nd 0.0000 0.0000 0.0000
2 Er 0.2500 0.2500 0.2500
3 Lu 0.7500 0.7500 0.7500
4 Zr 0.5000 0.5000 0.5000

Results
ΔE_f = 0.230 eV per atom
Space-group type = No. 216
Total magnetic moment = 1.2 μB/f.u.
Energy = -0.3947 Ry per atom

----------

CoSiW3 after structural relaxation, computed with PBE.

abc: 4.439 4.439 4.439
angles: 90.00 90.00 90.00
Atoms (fractional coordinates):
Co 0.000 0.000 0.000
Si 0.500 0.500 0.500
W 0.000 0.500 0.500
W 0.500 0.000 0.500
W 0.500 0.500 0.000

## Properties
Energy (eV per cell): -43.4
Formation energy (no corrections) (kJ per mole of atoms): 154.8
E above lowest polymorph (meV per atom): 135
Calculated density (g/cm³): 12.1

### Reply
Co 0.000 0.000 0.000